बाबुरामको दिल्ली तीर्थाटनका सन्देश

मैले केहि समय देखि यो ब्लगमा लेख्न पाइरहेको थिइन तर अब रेगुलर लेख्ने बिचार गरेको छु। मेरा लेखहरु यो ब्लगमा र अन्य अनलाइन साइटहरुमा पढ्न सक्नुहुनेछ। अन्यत्र छापिएका मेरा लेखहरुलाई म यो ब्लगमा लिंक सहित पोस्ट गर्नेछु।

हालै नेपाली अनलाइन साईट पहिलोपोस्ट.कम मा मेरो एक लेख छापिएको थियो। त्यो लेख तपाइँ यो लिंक बाट पहिलोपोस्ट्मै पढ्न सक्नुहुनेछ। यो लेख नेपालीमा छ।

नेपालीमा पढ्न नचाहनेहरूका लागि यो लेख अंग्रेजीमा यहा प्रस्तुत गरेको छु। पहिलोपोस्ट्मा छापिएको लेख को हु-बहु ट्रान्स्लेसन ता होइन तर यो लेख करिब करिब पहिलोपोस्टमा छापिएको लेखको अंग्रेजी भर्सन भन्न सकिन्छ।

An Outsider’s view

Issue of nationalism or pilgrimage – Maoist leader’s India visit

By looking at Baburam Bhattarai’s (herein after Baburam) face book and twitter posts, it is not difficult to fathom his state of mind. He is tired of listening to commentators. He is tired of gossips in media circle about his India’s travel. Quite clearly, he does not like if anyone preaches and pontificates on nationalism. And, to me, it is very surprising but quite understandable. You only have to step on his shoes for a moment to read his mind.

His recent comments have stirred the social media. In face book post, he clubs those people who are raising the issue of nationalism as the ones who jump to embassy’s parties for free ka daru (free alcohol). He is absolutely bang on target in dodging real issues. It is a classic tool adopted and used by politicians of all beliefs. They only have to point to another issue so that they can reduce the gravity of the questions and get a satisfaction of throwing a doosara (One of the variations of spin ball in cricket). By using such paintara (tricks), Baburam seems to be in a good mood to evade the question rather than trying to engage in a debate of what constitutes nationalism or patriotism for us.

Despite being close neighbours and having multiple social and cultural similarities, Nepal –India relation generates heated arguments when it comes to issue of “allowing our neighbour to play a role” in our domestic affairs. There used to be a time when CPN-UML was the torchbearer of this debate. In 2052 BS, when the Maoists decided to start their “People’s Revolution”, it was said that they had no options as the then Deuba Government even refused to glance their 40 points demand sheet where many issues were relating to India’s policy towards Nepal. After the start of the “People’s War”, Maoists’ enemy No. 1 was always the “expansionist” India. That was that time and we (or rather Maoist Party) have moved much ahead!

-- Misplaced materials data --
+++
1.
Be3CuNi after structural relaxation. Source: Alexandria via LeMat-Bulk, functional GGA-PBE.

Cell: 2.421 5.723 4.353 Å, 112.28 56.28 101.97°
Positions (direct):
1 Ni 0.988 0.703 0.000
2 Be 0.991 0.576 0.436
3 Be 0.492 0.942 0.620
4 Be 0.491 0.348 0.822
5 Cu 0.491 0.156 0.226

Output
* symmetry: No. 8
* V: 9.28 Å³ per atom
* density of states at the Fermi level: 0.39 states/eV per atom
* magnetization: 0.0 μB/f.u.
* excess energy over the best structure of this formula in the dataset: 0 meV per atom



2.
Be6CuNi after structural relaxation. Source: Alexandria via LeMat-Bulk, functional GGA-PBE.

Cell: 3.719 4.085 4.573 Å, 90.00 90.00 90.00°
Positions (direct):
1 Be 0.500 0.846 0.260
2 Be 0.500 0.325 0.000
3 Be 0.000 0.659 0.500
4 Be 0.000 0.160 0.253
5 Be 0.500 0.846 0.740
6 Be 0.000 0.160 0.747
7 Cu 0.000 0.657 0.000
8 Ni 0.500 0.346 0.500

Output
* symmetry: No. 25
* calculated total energy: -4.20 eV/atom
* V: 8.68 Å³ per atom
* density of states at the Fermi level: 0.26 states/eV per atom
* magnetization: 0.0 μB/f.u.



3.
BeCuNi after structural relaxation. Source: Alexandria via LeMat-Bulk, functional GGA-PBE.

Cell: 3.613 3.613 3.613 Å, 60.00 60.00 60.00°
Positions (direct):
1 Be 0.750 0.750 0.750
2 Cu 0.000 0.000 0.000
3 Ni 0.500 0.500 0.500

Output
* symmetry: No. 216
* V: 11.11 Å³ per atom
* density of states at the Fermi level: 0.22 states/eV per atom
* magnetization: 0.0 μB/f.u.
* excess energy over the best structure of this formula in the dataset: 281 meV per atom



4.
BeCuNi2 after structural relaxation. Source: Alexandria via LeMat-Bulk, functional GGA-PBE.

Cell: 3.338 3.338 8.470 Å, 78.63 78.63 90.00°
Last column: magnetic moment on the atom in μB.
Positions (direct):
1 Ni 0.137 0.625 0.250  0.06
2 Ni 0.875 0.863 0.750  0.05
3 Ni 0.375 0.387 0.750  0.05
4 Ni 0.613 0.125 0.250  0.06
5 Cu 0.000 0.000 0.000  0.00
6 Cu 0.750 0.250 0.500  0.00
7 Be 0.250 0.750 0.500  0.00
8 Be 0.500 0.500 0.000  0.00

Output
* symmetry: No. 122
* calculated total energy: -4.57 eV/atom
* V: 11.33 Å³ per atom
* density of states at the Fermi level: 0.94 states/eV per atom
* magnetization: 0.1 μB/f.u.



5.
BeCuNi after structural relaxation. Source: Alexandria via LeMat-Bulk, functional GGA-PBE.

Cell: 3.774 3.774 2.482 Å, 90.00 90.00 120.00°
Positions (direct):
1 Ni 0.333 0.667 0.717
2 Be 0.000 0.000 0.006
3 Cu 0.667 0.333 0.277

Output
* symmetry: No. 156
* V: 10.21 Å³ per atom
* density of states at the Fermi level: 0.38 states/eV per atom
* magnetization: 0.0 μB/f.u.
* excess energy over the best structure of this formula in the dataset: 105 meV per atom



6.
BeCuNi4 after structural relaxation. Source: Alexandria via LeMat-Bulk, functional GGA-PBE.

Cell: 2.503 2.503 9.885 Å, 90.00 90.00 90.00°
Positions (direct):
1 Ni 0.000 0.000 0.639
2 Ni 0.500 0.500 0.817
3 Ni 0.000 0.000 0.361
4 Ni 0.500 0.500 0.183
5 Cu 0.000 0.000 0.000
6 Be 0.500 0.500 0.500

Output
* symmetry: No. 123
* V: 10.32 Å³ per atom
+++

After Maoists joined the peaceful democracy, people slowly came to know that the inside story was something different. Though in propaganda, India was their enemy but in practice, Maoist already had a “gentleman’s agreement” with agencies of Indian government and in return, safe accommodation was ensured for the guests. After Maoists came to join the mainstream democracy, so many skeletons have started falling from cupboard that they are not in a position to form a consistent and guiding view on how Nepal should shape its foreign policy vis-à-vis India. By looking at the unfolding events, Maoist’s lack of clarity on foreign policy and nationalism is going to linger for quite some time unless they start doing early self-introspection.

This ambiguous display on nationalism is the product of Maoist’s pitiable situation back home. Firstly, the more “free and fair election” than that of 2008 pushed Maoists at the periphery of national politics. The choice that people made in a democracy cut short the luxury of the party which had just started enjoying the “fruits of people’s democracy”. Secondly, the current Constituent Assembly is hell-bent to promulgate a Constitution under consensus, if possible and if that be impossible, “under a due process” set in place by the consensus of all parties. Since Maoists are only the toddlers in democracy, they have not yet fully understood how democracy actually works. The party, whose democratic commitment is still questionable, does not stop to dream that they have the “birth right” to rule Nepal, to run government, to declare enemy, or alter the enemy and if public pressure mounts at any point of time, then, finally to promulgate a Constitution based on their whims and fancies. They naturally believe this is all kosher.

What Maoists have managed to understand, however, is that the very first requirement of democracy i.e. people’s votes are not on their side. In such a situation, they do not have any other alternatives than to seek a “divine intervention”. This desire of being intervened by a “prabhu” (word used by Pushpa Kamal once to refer “India”) has brought Baburam on a pilgrimage to India. Ordinarily, this should not be the issue of great fuss as in the past too, right from start of revolution; Maoists were getting blessed in India’s capital.

It will be interesting to see if the new God installed in Lutyens’ Delhi after May, 2014 has promised any intervention in due course. As the largest democracy in the world, I expect that Prabhu must have delivered little sermons on how humble one needs to be in a democracy. If that were to be the outcome of this trip, then, I would rate Baburam’s pilgrimage to India a very successful one.

Let’s wait and watch for few days how dialogues between the parties move ahead. That would give us a clear indication of what “Kosheli” (gifts) Baburam has brought from Lutyens’ Delhi.

By Rajib Dahal. (You can contact me at twitter: @rajibdahal, or via email to rajib.dahal at gmail.com)

पहिलोपोस्टमा नेपालीमा छापिएको लेखको पिडिएफ कपि चाही यहा छ बाबुरामको दिल्ली तीर्थाटनका सन्देश __ Pahilopost